### Data
+++
Theoretical powder XRD pattern
Compound: Gd2Ho2CF5
Radiation: Cu Kα (λ = 1.5418 Å)
Structure: the GGA-PBE geometry in OQMD

Largest 10 diffraction maxima, low angle first, 2θ = 10–90°:
2θ/deg	intensity	h k l
14.09	59	0 0 1
22.76	49	2 0 1
24.32	29	4 0 -1
28.73	34	1 1 -1
30.09	44	4 0 -2
32.38	91	3 1 0
35.93	28	2 0 2
37.09	100	1 1 -2
39.77	49	6 0 0
51.55	39	7 1 -2

Atomic structure:
```
data_Gd2Ho2CF5
_chemical_formula_sum 'Gd4 Ho4 C2 F10'
_symmetry_space_group_name_H-M 'C 1 2/m 1'
_symmetry_Int_Tables_number 12
_cell_length_a 14.8200
_cell_length_b 3.4888
_cell_length_c 6.8493
_cell_angle_alpha 90.00
_cell_angle_beta 113.40
_cell_angle_gamma 90.00
loop_
_symmetry_equiv_pos_as_xyz
'x,y,z'
'-x,-y,-z'
'-x,y,-z'
'x,-y,z'
'x+1/2,y+1/2,z'
'-x+1/2,-y+1/2,-z'
'-x+1/2,y+1/2,-z'
'x+1/2,-y+1/2,z'
loop_
_atom_site_label
_atom_site_fract_x
_atom_site_fract_y
_atom_site_fract_z
_atom_site_occupancy
Gd1 0.0056 0.0000 0.2455 1
Ho1 0.1696 0.5000 0.1374 1
C1 0.0000 0.5000 0.0000 1
F1 0.0000 0.5000 0.5000 1
F2 0.1749 0.0000 0.9050 1
F3 0.1860 0.0000 0.3598 1
```

----------

(1)
Starting from a PBE-relaxed structure, the X-ray powder pattern of Tm12Zn6Bi was simulated for λ = 1.5418 Å (Cu Kα).
Lines closer than 0.1° are merged.

Largest 10 diffraction maxima, sorted by position, 2θ from 10° to 80°:
2θ/deg, I_rel, (hkl)
28.50, 315, 3 0 1
31.29, 568, 2 2 2
33.86, 1000, 3 1 2
36.28, 255, 4 0 0
38.57, 107, 3 3 0
46.77, 201, 5 0 1
53.98, 317, 5 3 0
55.68, 107, 6 0 0
57.35, 382, 5 2 3
66.79, 226, 5 3 4

Atomic structure:
```
data_Tm12Zn6Bi
_space_group_name_H-M_alt 'I m -3'
_space_group_IT_number 204
_space_group_name_Hall '-I 2 2 3'
_cell_length_a 9.9041
_cell_length_b 9.9041
_cell_length_c 9.9041
_cell_angle_alpha 90.00
_cell_angle_beta 90.00
_cell_angle_gamma 90.00
loop_
_atom_site_label
_atom_site_fract_x
_atom_site_fract_y
_atom_site_fract_z
_atom_site_occupancy
Tm1 0.0000 0.2931 0.1927 1
Zn1 0.0000 0.1234 0.5000 1
Bi1 0.0000 0.0000 0.0000 1
```


(2)
Starting from a PBE-relaxed structure, the X-ray powder pattern of Tm5ZnBi5 was simulated for λ = 1.5418 Å (Cu Kα).
Lines closer than 0.1° are merged.

Largest 10 diffraction maxima, sorted by position, 2θ from 10° to 80°:
2θ/deg, I_rel, (hkl)
29.00, 1000, 0 2 0
29.23, 453, 4 0 -2
39.65, 208, 2 0 -4
41.48, 384, 2 2 2
41.67, 354, 4 2 -2
43.52, 155, 6 0 0
49.89, 221, 2 2 -4
53.17, 164, 6 2 0
68.05, 90, 4 2 4
68.15, 90, 2 4 2

Atomic structure:
```
data_Tm5ZnBi5
_space_group_name_H-M_alt 'C 1 2/m 1'
_space_group_IT_number 12
_space_group_name_Hall '-C 2y'
_cell_length_a 13.2432
_cell_length_b 6.1511
_cell_length_c 9.0918
_cell_angle_alpha 90.00
_cell_angle_beta 109.58
_cell_angle_gamma 90.00
loop_
_atom_site_label
_atom_site_fract_x
_atom_site_fract_y
_atom_site_fract_z
_atom_site_occupancy
Tm1 0.0000 0.0000 0.0000 1
Tm2 0.1690 0.5000 0.3387 1
Tm3 0.1773 0.5000 0.8300 1
Zn1 0.0000 0.5000 0.0000 1
Bi1 0.0000 0.5000 0.5000 1
Bi2 0.1472 0.0000 0.3407 1
Bi3 0.1610 0.0000 0.8211 1
```


(3)
Starting from a PBE-relaxed structure, the X-ray powder pattern of UBi2 was simulated for λ = 1.5418 Å (Cu Kα).
Lines closer than 0.1° are merged.

Largest 10 diffraction maxima, sorted by position, 2θ from 10° to 80°:
2θ/deg, I_rel, (hkl)
28.14, 199, 1 1 0
29.87, 1000, 0 0 3
34.63, 680, 1 1 2
36.07, 201, 1 0 3
40.23, 451, 2 0 0
50.88, 309, 2 0 3
55.10, 208, 1 0 5
58.19, 174, 2 2 0
66.79, 285, 2 2 3
69.53, 191, 3 1 2

Atomic structure:
```
data_UBi2
_space_group_name_H-M_alt 'P 4/n m m'
_space_group_IT_number 129
_cell_length_a 4.4833
_cell_length_b 4.4833
_cell_length_c 8.9839
_cell_angle_alpha 90.00
_cell_angle_beta 90.00
_cell_angle_gamma 90.00
loop_
_space_group_symop_operation_xyz
'x,y,z'
'-x,-y,-z'
'-y+1/2,x,z'
'y+1/2,-x,-z'
'-x+1/2,-y+1/2,z'
'x+1/2,y+1/2,-z'
'y,-x+1/2,z'
'-y,x+1/2,-z'
'x+1/2,-y,-z'
'-x+1/2,y,z'
'-y,-x,-z'
'y,x,z'
'-x,y+1/2,-z'
'x,-y+1/2,z'
'y+1/2,x+1/2,-z'
'-y+1/2,-x+1/2,z'
loop_
_atom_site_label
_atom_site_fract_x
_atom_site_fract_y
_atom_site_fract_z
_atom_site_occupancy
U1 0.2500 0.2500 0.2161 1
+++

### Request
Retype the contents further above from the line with "_cell_length_a 14.8200" to the end character by character.

### Worked solution
_cell_length_a 14.8200
_cell_length_b 3.4888
_cell_length_c 6.8493
_cell_angle_alpha 90.00
_cell_angle_beta 113.40
_cell_angle_gamma 90.00
loop_
_symmetry_equiv_pos_as_xyz
'x,y,z'
'-x,-y,-z'
'-x,y,-z'
'x,-y,z'
'x+1/2,y+1/2,z'
'-x+1/2,-y+1/2,-z'
'-x+1/2,y+1/2,-z'
'x+1/2,-y+1/2,z'
loop_
_atom_site_label
_atom_site_fract_x
_atom_site_fract_y
_atom_site_fract_z
_atom_site_occupancy
Gd1 0.0056 0.0000 0.2455 1
Ho1 0.1696 0.5000 0.1374 1
C1 0.0000 0.5000 0.0000 1
F1 0.0000 0.5000 0.5000 1
F2 0.1749 0.0000 0.9050 1
F3 0.1860 0.0000 0.3598 1
```

----------

(1)
Starting from a PBE-relaxed structure, the X-ray powder pattern of Tm12Zn6Bi was simulated for λ = 1.5418 Å (Cu Kα).
Lines closer than 0.1° are merged.

Largest 10 diffraction maxima, sorted by position, 2θ from 10° to 80°:
2θ/deg, I_rel, (hkl)
28.50, 315, 3 0 1
31.29, 568, 2 2 2
33.86, 1000, 3 1 2
36.28, 255, 4 0 0
38.57, 107, 3 3 0
46.77, 201, 5 0 1
53.98, 317, 5 3 0
55.68, 107, 6 0 0
57.35, 382, 5 2 3
66.79, 226, 5 3 4

Atomic structure:
```
data_Tm12Zn6Bi
_space_group_name_H-M_alt 'I m -3'
_space_group_IT_number 204
_space_group_name_Hall '-I 2 2 3'
_cell_length_a 9.9041
_cell_length_b 9.9041
_cell_length_c 9.9041
_cell_angle_alpha 90.00
_cell_angle_beta 90.00
_cell_angle_gamma 90.00
loop_
_atom_site_label
_atom_site_fract_x
_atom_site_fract_y
_atom_site_fract_z
_atom_site_occupancy
Tm1 0.0000 0.2931 0.1927 1
Zn1 0.0000 0.1234 0.5000 1
Bi1 0.0000 0.0000 0.0000 1
```


(2)
Starting from a PBE-relaxed structure, the X-ray powder pattern of Tm5ZnBi5 was simulated for λ = 1.5418 Å (Cu Kα).
Lines closer than 0.1° are merged.

Largest 10 diffraction maxima, sorted by position, 2θ from 10° to 80°:
2θ/deg, I_rel, (hkl)
29.00, 1000, 0 2 0
29.23, 453, 4 0 -2
39.65, 208, 2 0 -4
41.48, 384, 2 2 2
41.67, 354, 4 2 -2
43.52, 155, 6 0 0
49.89, 221, 2 2 -4
53.17, 164, 6 2 0
68.05, 90, 4 2 4
68.15, 90, 2 4 2

Atomic structure:
```
data_Tm5ZnBi5
_space_group_name_H-M_alt 'C 1 2/m 1'
_space_group_IT_number 12
_space_group_name_Hall '-C 2y'
_cell_length_a 13.2432
_cell_length_b 6.1511
_cell_length_c 9.0918
_cell_angle_alpha 90.00
_cell_angle_beta 109.58
_cell_angle_gamma 90.00
loop_
_atom_site_label
_atom_site_fract_x
_atom_site_fract_y
_atom_site_fract_z
_atom_site_occupancy
Tm1 0.0000 0.0000 0.0000 1
Tm2 0.1690 0.5000 0.3387 1
Tm3 0.1773 0.5000 0.8300 1
Zn1 0.0000 0.5000 0.0000 1
Bi1 0.0000 0.5000 0.5000 1
Bi2 0.1472 0.0000 0.3407 1
Bi3 0.1610 0.0000 0.8211 1
```


(3)
Starting from a PBE-relaxed structure, the X-ray powder pattern of UBi2 was simulated for λ = 1.5418 Å (Cu Kα).
Lines closer than 0.1° are merged.

Largest 10 diffraction maxima, sorted by position, 2θ from 10° to 80°:
2θ/deg, I_rel, (hkl)
28.14, 199, 1 1 0
29.87, 1000, 0 0 3
34.63, 680, 1 1 2
36.07, 201, 1 0 3
40.23, 451, 2 0 0
50.88, 309, 2 0 3
55.10, 208, 1 0 5
58.19, 174, 2 2 0
66.79, 285, 2 2 3
69.53, 191, 3 1 2

Atomic structure:
```
data_UBi2
_space_group_name_H-M_alt 'P 4/n m m'
_space_group_IT_number 129
_cell_length_a 4.4833
_cell_length_b 4.4833
_cell_length_c 8.9839
_cell_angle_alpha 90.00
_cell_angle_beta 90.00
_cell_angle_gamma 90.00
loop_
_space_group_symop_operation_xyz
'x,y,z'
'-x,-y,-z'
'-y+1/2,x,z'
'y+1/2,-x,-z'
'-x+1/2,-y+1/2,z'
'x+1/2,y+1/2,-z'
'y,-x+1/2,z'
'-y,x+1/2,-z'
'x+1/2,-y,-z'
'-x+1/2,y,z'
'-y,-x,-z'
'y,x,z'
'-x,y+1/2,-z'
'x,-y+1/2,z'
'y+1/2,x+1/2,-z'
'-y+1/2,-x+1/2,z'
loop_
_atom_site_label
_atom_site_fract_x
_atom_site_fract_y
_atom_site_fract_z
_atom_site_occupancy
U1 0.2500 0.2500 0.2161 1